A Hill Called Mt. Calvary :: By Dennis Huebshman

John 19:17-22, “And He went out bearing His own cross, to the place called the Place of the Skull, which in Aramaic is called Golgotha. There, they crucified Him, and with Him two others; one on either side, and Jesus between them. Pilate also wrote an inscription, and put it on the cross. It read, Jesus of Nazareth, the King of the Jews. Many of the Jews read this inscription, for the place where Jesus was crucified was near the City, and it was written in Aramaic, Latin and Greek. So the Chief Priests of the Jews said to Pilate, Do not write ‘The King Of The Jews,’ but rather, this man said I am the King of the Jews. Pilate answered, what I have written, I have written.’” (emphasis mine)

Pilate owed no allegiance to the religious leaders, and he even tried to get Jesus released, as Pilate knew He was not guilty of any crime deserving death. In Matthew 27:24, he ceremoniously washed his hands in front of the gathered crowd to let them know he did not approve of their actions, but he did nothing further to stop the execution. He was saying all consequences of their actions were totally on them. It will be interesting at his final judgment to see if that action actually absolved him from the guilt.

These quantum chemistry results were left in the article by mistake:
# 1
C4H9NOS in the gas phase in a non-equilibrium geometry. Source: the Open Molecules 2025 dataset; level of theory: the ωB97M-V functional and the def2-TZVPD basis.

```
16
C4H9NOS | the Open Molecules 2025 dataset | the ωB97M-V functional and the def2-TZVPD basis
C 2.174 -1.447 -0.722
N 0.925 -1.093 -0.717
O 0.610 -0.433 0.440
C -0.831 0.007 0.409
C -1.773 -1.160 0.375
S -1.104 1.323 -0.854
C 0.189 2.357 -0.130
H 2.851 -1.292 0.137
H 2.576 -2.013 -1.572
H -0.909 0.477 1.383
H -1.830 -1.561 -0.643
H -2.807 -0.939 0.693
H -1.388 -1.968 1.046
H 1.155 1.917 -0.357
H 0.160 3.407 -0.486
H 0.001 2.418 0.996
```

## Properties
HOMO-LUMO gap (eV): 9.81
HOMO energy (eV): -8.837
Max |F| (eV/A): 2.3
Structure (SMILES): C=NO[C@H](C)SC
Energy relative to the best compared isomer or geometry (same formula, charge and spin) (kcal/mol): 72.3
Net charge: 0
Electronic energy (hartree): -685.90372

---

# 2
C21H25N3O7S in the gas phase. Source: the Open Molecules 2025 dataset; level of theory: the ωB97M-V functional and the def2-TZVPD basis.

```
57
C21H25N3O7S | the Open Molecules 2025 dataset | the ωB97M-V functional and the def2-TZVPD basis
C -3.272 -1.252 -1.367
C -2.857 0.220 -1.399
C -3.433 0.940 -2.585
C -4.812 1.053 -2.733
C -5.370 1.687 -3.828
C -4.551 2.231 -4.804
C -3.178 2.152 -4.667
C -2.620 1.510 -3.567
N -1.203 1.438 -3.428
C -0.543 2.602 -2.852
C -0.036 2.284 -1.438
O -0.388 2.914 -0.464
N 0.811 1.222 -1.444
N 1.423 0.589 -0.419
C 1.293 0.937 0.801
C 1.987 0.194 1.837
C 2.792 -0.902 1.533
C 3.446 -1.581 2.542
C 3.301 -1.180 3.858
O 3.983 -1.796 4.902
C 3.940 -3.125 5.015
O 3.322 -3.885 4.327
O 4.709 -3.473 6.048
C 4.761 -4.865 6.329
C 2.487 -0.082 4.191
O 2.400 0.222 5.509
C 1.626 1.334 5.892
C 1.842 0.595 3.167
S -0.370 0.722 -4.689
C -1.165 -0.893 -4.771
O 0.975 0.558 -4.206
O -0.529 1.404 -5.939
H -2.800 -1.752 -0.525
H -2.971 -1.757 -2.282
H -4.350 -1.351 -1.264
H -3.199 0.709 -0.484
H -1.770 0.287 -1.429
H -5.456 0.640 -1.971
H -6.443 1.760 -3.919
H -4.979 2.726 -5.662
H -2.521 2.571 -5.413
H 0.307 2.876 -3.484
H -1.233 3.448 -2.793
H 1.054 0.823 -2.353
H 0.684 1.776 1.129
H 2.897 -1.200 0.504
H 4.072 -2.430 2.316
H 5.427 -4.970 7.181
H 3.766 -5.244 6.569
H 5.149 -5.414 5.468
H 1.717 1.393 6.975
H 0.573 1.203 5.624
H 2.004 2.259 5.445
H 1.212 1.443 3.384
H -0.671 -1.459 -5.551
H -1.033 -1.366 -3.808
H -2.211 -0.747 -5.007
```

## Properties
HOMO-LUMO gap (eV): 8.65
HOMO energy (eV): -8.151
Max |F| (eV/A): 1.0
Structure (SMILES): CCc1ccccc1N(CC(=O)N/N=C/c1ccc(OC(=O)OC)c(OC)c1)S(C)(=O)=O
Energy relative to the best compared isomer or geometry (same formula, charge and spin) (kcal/mol): 66.3
Net charge: 0
Electronic energy (hartree): -1904.33785

---

# 3
A molecular structure, C33H47BaN2O6PSi in a non-equilibrium geometry. Source: the Open Molecules 2025 dataset; level of theory: the ωB97M-V functional and the def2-TZVPD basis.

```
91
C33H47BaN2O6PSi | the Open Molecules 2025 dataset | the ωB97M-V functional and the def2-TZVPD basis

His inscription on Jesus’ cross could also have been a measure to put his wife’s mind at ease. In Matthew 27:29, his wife sent a message saying, “Have nothing to do with that Righteous Man; for I have suffered much because of Him today in a dream.” We are told nothing further about her.

Crucifixion was designed to be a most degrading, shameful and extremely painful method of execution, and the Romans used it extensively. If someone was Roman by birth, or granted Roman citizenship by someone of authority, they would not ever face this type of execution.

The exact location where Jesus’ crucifixion took place is not really known, other than it was outside the walls of Jerusalem. There is a church that was built in the fourth century that claims they are on the actual site, the Church of the Holy Sepulcher; but the location has a problem. The church is inside the walls of Jerusalem, so the actual location is still unknown. As given above in John 19:20, “near the city.”

It’s believed the site would be next to a main, traveled road, as it was well visible to passersby. Also, in almost all artists’ depiction of Jesus on the Cross, they show a cloth wrapped around His groin area. Those crucified were not afforded such modesty, as they were crucified naked.

One other fulfilment of a Passover commandment was that none of Jesus’ bones were broken. This follows the first Passover given in Exodus 12:46 and Numbers 9:12 that state the “lamb” must be eaten inside one house, and no bones were to be broken. Jesus was our “Sacrificial Passover Lamb.”

Jesus fulfilled the commandment about being a “spotless Lamb,” and, therefore, any shed blood would be worthy to cover all sin. It’s hard to imagine that our Heavenly Father, Jesus and the Holy Spirit have witnessed every sin ever committed on this earth, and all the sins that will be committed to the very end of the Millennium. The thought of this is overwhelming, and it’s perfectly fitting that the Father would designate what He would accept as a pure and whole one-time sacrifice for all that sin. He knew that no human could ever offer a sacrifice of the magnitude that was required.

Jesus’ blood never mixed with any human blood, as He was placed in Mary’s womb by the Holy Spirit. Nutrients and oxygen are passed from the mother to the fetus, but their blood never mixes. That’s the function of the placenta. Had even one drop of human blood mixed with His, the sacrifice would not have been acceptable.

One more point: even though the Jewish religious leaders believed they “won” by having Jesus crucified, they were only fulfilling prophecies that went all the way back to Isaiah 53 and even to Genesis 3:14-15. They were too arrogant and blinded by hate to see this was truly their Messiah that was on that cross. Further, they only accomplished what Jesus Himself “allowed.”

John 10:18, “No one takes it (His life) from Me; but I lay it down of My own accord. I have the authority to lay it down, and I have authority to take it up again. This charge I received from My Father.”

Matthew 26:53, “Do you think that I cannot appeal to My Father, and He will send Me more than 12 legions of Angels?” (approximately 60,000 angels)

He could’ve stopped everything at any moment, but as a true and just part of the Godhead, He fulfilled what was required. And please note: it was for you and me so we could have a clear pathway to the Father (John 14:6).

____________
Record 1
14
Properties=species:S:1:pos:R:3:forces:R:3 method="wB97M-V/def2-TZVPD" lumo_ha=-0.00208
C -0.151683 -0.443741 -1.477092 1.8 2.6 2.6
C -0.383035 0.064698 1.303206 -0.1 -0.5 -0.3
C 0.880775 1.051138 -0.432274 -1.4 -3.0 -2.4
N -0.008441 1.240187 0.585611 -0.3 0.6 0.6
O -0.049766 -2.393764 0.288009 0.4 0.0 0.1
O -2.222980 -1.284973 -0.075140 -0.3 0.3 -0.1
S -0.791744 -1.201626 -0.000545 -0.1 0.1 0.0
I 2.787745 0.108994 -0.003442 0.1 0.2 0.0
H -0.899881 0.054409 -2.064186 -0.2 0.1 -0.1
H 0.591799 -1.037261 -1.973733 0.1 -0.2 -0.1
H 0.408441 -0.376041 1.920576 0.0 0.0 -0.1
H -1.284210 0.238190 1.885614 0.0 -0.1 0.0
H 1.022905 1.893843 -1.091287 0.1 0.1 0.0
H 0.100078 2.085944 1.134678 -0.1 -0.1 -0.1



Record 2
117
Properties=species:S:1:pos:R:3:forces:R:3 method="wB97M-V/def2-TZVPD" lumo_ha=-0.00688
Zr 0.960767 -0.503924 -0.933853 -0.6 -0.3 0.6
C -6.180899 -1.153086 -0.155238 0.0 0.0 0.0
C -4.808385 -0.932364 -0.729751 0.0 0.0 0.0
C -4.544266 0.045283 -1.670734 0.0 0.0 0.0
C -3.253679 0.293024 -2.114426 -0.1 0.0 0.0
C -2.148475 -0.412657 -1.631124 0.0 0.0 -0.1
N -0.829463 -0.068327 -1.940832 0.2 -0.1 0.1
C -0.510960 0.841332 -2.989611 0.1 0.0 0.0
C -1.086343 2.113934 -3.005648 0.0 0.0 0.1
C -0.880290 3.007738 -4.035542 0.0 0.0 0.0
C -0.066058 2.667040 -5.102717 0.0 0.0 0.0
C 0.148373 3.597365 -6.265538 0.0 0.0 0.0
C 0.607140 1.454817 -5.036339 0.1 0.0 0.0
C 0.470622 0.562343 -3.977169 0.0 0.0 0.0
C 1.371759 -0.698766 -3.934060 0.0 -0.1 0.0
O 1.381973 -1.331586 -2.707563 0.3 0.2 -0.1
C 2.923897 -0.459081 -4.261603 -0.1 -0.1 0.0
F 3.435068 -1.515957 -4.925564 0.0 0.1 0.1
F 3.647715 -0.368935 -3.131961 -0.1 0.0 0.0
F 3.205028 0.631576 -4.978686 0.0 -0.1 0.0
C 0.822510 -1.683925 -5.016392 0.0 0.0 0.0
F -0.511997 -1.689605 -5.025936 0.0 0.0 0.0
F 1.214981 -1.307104 -6.251066 0.0 0.0 0.0
F 1.228770 -2.939851 -4.815995 0.0 0.0 0.0
C -2.443789 -1.534997 -0.804777 0.0 0.0 0.0
C -3.738683 -1.736877 -0.351710 0.0 0.0 0.0
C -1.343623 -2.544782 -0.486247 0.0 0.0 0.1
O -0.170720 -1.919995 -0.104839 0.2 0.0 -0.6
C -1.637252 -3.499907 0.715092 0.0 0.1 0.1
F -2.719175 -4.282808 0.613197 0.0 0.0 0.0
F -0.590430 -4.331357 0.886485 0.1 0.0 -0.1
F -1.771077 -2.794261 1.842501 -0.1 0.1 0.0
C -1.121200 -3.460820 -1.751931 -0.1 0.0 0.1
F -1.990514 -4.485142 -1.786845 0.1 0.1 0.0
F -1.260489 -2.798775 -2.889395 0.1 0.0 0.0
F 0.117830 -4.006429 -1.759364 0.0 0.0 0.0
H -6.918671 -0.523119 -0.652171 0.0 0.0 0.0
H -6.497130 -2.192277 -0.264621 0.0 0.0 0.0
H -6.201509 -0.913175 0.910967 0.0 0.0 0.0
H -5.355750 0.648209 -2.064692 0.0 0.0 0.0
H -3.113241 1.067247 -2.850113 0.0 0.0 0.0
H -1.695783 2.405992 -2.160672 0.0 0.0 0.0
H -1.356943 3.980737 -4.002314 0.0 0.0 0.0
H -0.568517 4.417470 -6.249824 0.0 0.0 0.0
H 1.151168 4.028625 -6.241082 0.0 0.0 0.0
H 0.040705 3.070378 -7.214763 0.0 0.0 0.0
H 1.275051 1.210138 -5.848523 0.0 0.0 0.0
H -3.953287 -2.562109 0.309883 0.0 0.0 0.0
N -0.344956 1.063916 2.559436 0.1 0.0 -0.4
P 0.888673 -0.063820 2.185909 -0.3 0.1 0.0
____________
## Back to the piece

Before giving the lyrics to a very inspirational song, I would like to repeat something that I have previously posted. In no manner shape or form do I worship the implement that was used in the death of My Savior. Any time I see a cross displayed, it brings to mind the One who was on a cross because of My Sin, and the sins of everyone who has lived, or ever will live on this earth.

Misplaced quantum chemistry results:
<<<
(1)
5 unconnected molecules or ions with the total composition C30H61BF3N7O6P, computed with the ωB97M-V functional and the def2-TZVPD basis.

The geometry in XYZ format:
```
109
Properties=species:S:1:pos:R:3
C 6.465 0.588 2.882
C 5.336 1.198 2.558
C 4.028 0.472 2.434
C 3.273 0.419 1.083
P 2.366 -1.301 1.015
C 3.751 -2.509 0.958
C 3.122 -3.920 1.044
C 1.709 -1.616 2.718
C 0.251 -2.114 2.691
C 4.033 0.358 -0.289
B 5.122 1.460 -0.828
N 5.005 1.822 -2.219
O 6.076 2.051 -0.063
C 2.883 0.574 -1.200
N 1.968 1.257 -0.629
O 0.780 1.603 -1.205
C 2.192 1.534 0.826
C 0.903 1.308 1.610
C -0.210 2.368 1.549
C -1.585 1.690 1.689
N -2.166 1.177 0.447
C 2.785 2.931 1.094
C 2.323 4.190 0.341
C 2.437 4.192 -1.146
F 1.305 3.978 -1.867
C 3.526 4.441 -1.828
F 3.615 4.471 -3.129
F 4.688 4.677 -1.261
H 6.479 -0.476 3.102
H 7.408 1.120 2.953
H 5.365 2.271 2.389
H 3.331 0.912 3.159
H 4.208 -0.547 2.785
H 4.470 -2.362 1.772
H 4.274 -2.432 0.006
H 2.046 -3.867 0.864
H 3.560 -4.563 0.282
H 3.268 -4.369 2.029
H 1.794 -0.728 3.347
H 2.341 -2.368 3.201
H -0.273 -1.815 3.600
H -0.295 -1.756 1.814
H 0.230 -3.208 2.657
H 4.484 -0.615 -0.501
H 5.720 2.488 -2.498
H 5.075 1.034 -2.854
H 6.504 1.466 0.578
H 2.777 0.248 -2.230
H 1.007 2.041 -2.045
H 1.211 1.215 2.657
H 0.467 0.344 1.326
H -0.195 2.891 0.588
H -0.103 3.103 2.352
H -2.281 2.430 2.097
H -1.504 0.861 2.393
H -1.862 0.234 0.239
H -1.947 1.765 -0.348
H 2.574 3.114 2.154
H 3.874 2.894 1.010
H 1.310 4.494 0.615
H 2.974 4.999 0.693
C 0.929 -3.961 -1.650
O 1.906 -3.232 -1.742
N 0.693 -5.012 -2.448
C -0.481 -5.844 -2.289
C 1.638 -5.306 -3.511
H 0.148 -3.810 -0.889
H -0.199 -6.879 -2.085
H -1.097 -5.820 -3.190
H -1.076 -5.471 -1.458
H 2.629 -5.507 -3.102
H 1.723 -4.460 -4.194
H 1.291 -6.178 -4.059
C -1.527 -0.959 -2.504
O -1.665 -2.161 -2.362
N -2.284 -0.191 -3.303
C -2.093 1.241 -3.422
C -3.351 -0.806 -4.075
H -0.751 -0.389 -1.961
H -2.995 1.779 -3.127
H -1.853 1.518 -4.450
H -1.270 1.545 -2.774
H -4.057 -1.295 -3.405
H -2.954 -1.562 -4.754
H -3.859 -0.028 -4.639
C -6.619 1.921 -4.451
O -5.405 2.052 -4.451
N -7.292 1.199 -3.537
C -8.730 1.041 -3.566
C -6.504 0.561 -2.495
H -7.265 2.385 -5.212
H -9.183 1.431 -2.653
H -9.003 -0.011 -3.666
H -9.136 1.587 -4.415
H -5.957 1.316 -1.929
H -5.782 -0.105 -2.963
H -7.151 0.000 -1.826
C -2.327 -0.057 5.412
O -1.500 0.495 4.702
N -3.655 0.081 5.284
C -4.587 -0.594 6.165
C -4.173 0.938 4.229
H -2.038 -0.727 6.239
H -5.243 -1.258 5.599
H -5.203 0.128 6.703
H -4.035 -1.188 6.891
H -3.857 0.582 3.248
H -3.807 1.958 4.351
H -5.259 0.936 4.277
```

Calculated values
**Charge**: +1
**HOMO-LUMO gap**: 8.08 eV
**Multiplicity**: 1
**LUMO**: -2.5 eV
**HOMO**: -10.561 eV

Results of the Löwdin charge analysis, in e, for atoms 1 through 5: 0.026, -0.181, -0.157, -0.369, 1.093

=====

(2)
6 unconnected molecules or ions with the total composition C30H61Cl3F8O, computed with the ωB97M-V functional and the def2-TZVPD basis.

The geometry in XYZ format:
```
103
Properties=species:S:1:pos:R:3
>>>

To have paintings, carvings or any other form of a cross is not in itself a sin, unless the “object” is worshiped. My mind goes to My Savior, Redeemer, My Best Friend; and as Thomas exclaimed in John 20:28, “My Lord and My God!” As “The Old Rugged Cross” song says, “The emblem of suffering and shame.” I long for the day when I can bow at the feet of My Jesus, and thank Him personally for saving a sinner such as I. There will be no crosses there.

The song is “I Believe in a Hill Called Mt. Calvary.” It was written by the Gaither’s and released in 1997.

(c.) I believe in a hill called Mt. Calvary; I believe whatever the cost. And when time has surrendered, and the earth is no more, I’ll still cling to the old rugged cross.

(1) I believe that this life with its great mysteries, surely one day will come to an end. But faith will conquer the darkness and death, and will lead me at last to My friend.

(2) I believe that the Christ who was slain on the cross has the power to change lives today. For He changed me completely; a new life is mine. And that is why by the cross I will stay. (c.)

The best version is undoubtedly the one performed by the Gaither Vocal Band. It’s obvious the artists are truly inspired by the words, and relay them in a way that would cover a whole sermon. Not an ear-tickling message, but one that is straight from the Bible. We look forward to that time when this world will be conquered, and we are led “at last to My Friend.”

As a reminder, please consider the following: Romans 10:9-13; “Because if you confess with your mouth, that Jesus is Lord, and believe in your heart that God raised Him from the dead, you will be saved. For with the heart, one believes and is justified, and with the mouth, one confesses and is saved. For the scripture says everyone who believes in Him will not be put to shame. For there is no distinction between Jew and Greek; for the same Lord is Lord of All; bestowing His riches (the most precious gift of all) on all who call on Him. For everyone who calls on the name of the Lord will be saved.”

Yes, it says “everyone.” The past is not our critical issue, as all sins can be forgiven except one. Anyone who does not accept what the above scripture proclaims, and rejects the sacrifice that was made for them by Our Savior on that cross, will spend eternity in the hell fires designed for Satan and his angels. (Matthew 25:41 and Revelation 20:11-15.)

Jesus will not force anyone to accept Him, but will turn no one away who truly calls on Him for salvation. There is nothing else we can do to save ourselves. No amount of works can buy us a slot in Heaven. Any works we do as a Christian is to honor the Savior, period. “Jesus paid it all, all to Him I owe; sin had left a crimson stain; He washed it white as snow.” To pass up this most merciful offer is to commit oneself to an eternal existence of never-ending regret and punishment.  Call on Him today!

B’Ahava Shalom (with Love and Peace)
